********
1.
# Li3CoNi4O8
Simulated powder X-ray diffraction pattern, Cu Kα. Input: a cell relaxed with GGA+U.

Atomic structure:
Lattice parameters (Å, degrees): 5.845 5.845 5.819 119.82 119.82 59.59
Atoms (fractional coordinates):
1 Li 0.000 0.000 0.000
2 Li 0.000 0.500 0.000
3 Li 0.500 0.000 0.000
4 Co 0.500 0.500 0.500
5 Ni 0.000 0.000 0.500
6 Ni 0.000 0.500 0.500
7 Ni 0.500 0.000 0.500
8 Ni 0.500 0.500 0.000
9 O 0.250 0.250 0.730
10 O 0.263 0.736 0.263
11 O 0.264 0.737 0.737
12 O 0.269 0.269 0.282
13 O 0.731 0.731 0.718
14 O 0.736 0.263 0.263
15 O 0.737 0.264 0.737
16 O 0.750 0.750 0.270

Largest 10 diffraction maxima, in order of falling intensity, 5° ≤ 2θ ≤ 70°:
- 2θ = 18.6°, I = 100
- 2θ = 44.1°, I = 86
- 2θ = 37.8°, I = 57
- 2θ = 63.7°, I = 48
- 2θ = 43.5°, I = 45
- 2θ = 36.2°, I = 28
- 2θ = 35.9°, I = 16
- 2θ = 64.1°, I = 12
- 2θ = 64.0°, I = 12
- 2θ = 21.6°, I = 11



2.
# Li3Co2NiO6
Simulated powder X-ray diffraction pattern, Cu Kα. Input: a cell relaxed with GGA+U.

Atomic structure:
Lattice parameters (Å, degrees): 2.856 5.779 6.439 76.05 77.41 88.90
Atoms (fractional coordinates):
1 Li 0.000 0.000 0.000
2 Li 0.336 0.667 0.335
3 Li 0.664 0.333 0.665
4 Co 0.326 0.165 0.334
5 Co 0.674 0.835 0.666
6 Ni 0.000 0.500 0.000
7 O 0.172 0.065 0.651
8 O 0.181 0.606 0.674
9 O 0.461 0.260 0.017
10 O 0.539 0.740 0.983
11 O 0.819 0.394 0.326
12 O 0.828 0.935 0.349

Largest 10 diffraction maxima, in order of falling intensity, 5° ≤ 2θ ≤ 70°:
- 2θ = 18.7°, I = 100
- 2θ = 44.2°, I = 24
- 2θ = 44.6°, I = 23
- 2θ = 45.1°, I = 22
- 2θ = 36.5°, I = 14
- 2θ = 36.8°, I = 13
- 2θ = 48.8°, I = 13
- 2θ = 37.2°, I = 12
- 2θ = 64.7°, I = 12
- 2θ = 64.5°, I = 12



3.
# LiCo3NiO8
Simulated powder X-ray diffraction pattern, Cu Kα. Input: a cell relaxed with GGA+U.

Atomic structure:
Lattice parameters (Å, degrees): 5.716 5.986 9.818 105.71 90.01 118.51
Atoms (fractional coordinates):
1 Li 0.249 0.000 0.250
2 Li 0.751 0.000 0.750
3 Co 0.000 0.500 0.000
4 Co 0.242 0.504 0.250
5 Co 0.262 0.504 0.750
6 Co 0.500 0.500 0.500
7 Co 0.738 0.496 0.250
8 Co 0.758 0.496 0.750
9 Ni 0.000 0.500 0.500
10 Ni 0.500 0.500 0.000
11 O 0.084 0.691 0.361
12 O 0.102 0.691 0.864
13 O 0.154 0.312 0.885
14 O 0.158 0.311 0.385
15 O 0.327 0.706 0.125
16 O 0.379 0.706 0.625
17 O 0.392 0.308 0.139
18 O 0.411 0.309 0.636
19 O 0.589 0.691 0.364
20 O 0.608 0.692 0.861
21 O 0.621 0.294 0.375
22 O 0.673 0.294 0.875
23 O 0.842 0.689 0.615
24 O 0.846 0.688 0.115
25 O 0.898 0.309 0.136
26 O 0.916 0.309 0.639

Largest 10 diffraction maxima, in order of falling intensity, 5° ≤ 2θ ≤ 70°:
- 2θ = 17.7°, I = 100
- 2θ = 43.9°, I = 28
- 2θ = 36.9°, I = 19
- 2θ = 44.2°, I = 14
- 2θ = 62.2°, I = 10
- 2θ = 56.8°, I = 10
- 2θ = 37.1°, I = 9
- 2θ = 47.7°, I = 8
- 2θ = 65.8°, I = 7
- 2θ = 38.4°, I = 5

----------

1.
Diffraction record for Sc3I7Br. The X-ray diffraction stick pattern is computed, not measured: it uses the GGA-PBE geometry in Alexandria and λ = 1.5418 Å (Cu Kα).
Peak positions follow from Bragg's law for the DFT cell and can differ from measured ones.

Most intense lines, 2θ from 5° to 70°, low angle first:
| d_spacing | intensity | h k l |
| --- | --- | --- |
| 7.493 | 16.8 | 0 0 1 |
| 3.747 | 21.5 | 0 0 2 |
| 3.572 | 11.5 | 2 2 -1 |
| 3.224 | 100.0 | 4 0 -3 |
| 2.585 | 33.9 | 2 2 1 |
| 2.062 | 24.6 | 0 4 0 |
| 2.049 | 10.0 | 4 0 1 |
| 2.046 | 16.8 | 2 2 -4 |
| 1.807 | 16.4 | 6 2 -5 |
| 1.737 | 16.2 | 4 4 -3 |

Structural model:
```
data_Sc3I7Br
_cell_length_a 14.2937
_cell_length_b 8.2444
_cell_length_c 10.3427
_cell_angle_alpha 90.00
_cell_angle_beta 133.57
_cell_angle_gamma 90.00
_symmetry_space_group_name_H-M 'C 1 m 1'
_symmetry_Int_Tables_number 8
_symmetry_space_group_name_Hall 'C -2y'
loop_
_atom_site_label
_atom_site_type_symbol
_atom_site_fract_x
_atom_site_fract_y
_atom_site_fract_z
Sc1 Sc 0.0000 0.0000 0.0000
Sc2 Sc 0.2468 0.2470 0.9999
I1 I 0.0562 0.5000 0.7768
I2 I 0.1950 0.2466 0.2259
I3 I 0.3019 0.2540 0.7765
I4 I 0.4411 0.0000 0.2256
I5 I 0.4481 0.5000 0.2340
********

Now work out how many lines further above have the word "Ni" in them; a number is enough.

7